User, groups and permissons

Hi there,

I have some questions in regards to the proper configuration of LiteSpeed (and CyberPanel):

1. Default LiteSpeed is running as user(nobody) : group(nobody) - do I need to change this?
2. What is the proper user, group and permission to set to the a web-site folder ( including the sub-folder: logs, lscache and public_html to prevent outside intruders?

I'm asking because I have manually been forced to set everything up myself. Meaning I have extracted a complete web-site backup
from CyberPanel and then all these settings got messed up. I needed to extract the backup manually because CyberPanel for some reason
didn't extract all files and folder (even though they exist in the tar.gz achieve file).

Currently the user, group and permissions look like this:

drwxr-xr-x 2 testo8904 nogroup 4096 Dec 29 11:32 logs
drwxrws--- 10 nobody testo8904 4096 Dec 29 13:44 lscache
drwxr-xr-x 31 testo8904 nogroup 4096 Dec 29 12:05 public_html

Folder "src" and file "test.html" in folder public_html - as examples of data inside the one of the folders:
drwxr-xr-x 5 testo8904 testo8904 4096 Dec 28 23:14 src
-rwxr-xr-x 1 testo8904 testo8904 142 Dec 28 23:13 test.html

Thank you so much in advance.
1. What exactly do you mean by CyberPanel would be responsible? CyberPanel is just a admin UI tool? It's LiteSpeed which processes all www requests?
2. So I should run "chmod 700/770/750 -R [path]", for the 3 folders?
3. What about the user and group owners? Should I change these as well?
Yes thank you: That's is the same as my comment: "chmod 700/770/750 -R [path]".
But this only sets the permissions. But you didn't answer if I should change the user and group for the folders as well?


Well-Known Member
public_html == User: nobody, Group Name: Account Name, File: drwxrws
logs == User: Account Name, Group Name: Account Name, File: drwx
lscache == User: nobody, Group Name: Account Name, File: drwxrws
Just to confirm. So according to my setup and to my understanding, this would be the commands I would need to run?

sudo chown nobody:testo8904 /home/
sudo chmod 750 /home/

sudo chown testo8904:testo8904/home/
sudo chmod 700 /home/

sudo chown nobody:testo8904/home/
sudo chmod 770 /home/
Hi again,

(Between two parts of the entry: records of crystals)
-- begin --
Record 1
VASP calculation (PBE-GGA) on a relaxed structure of TbPrY5Ho2.

The structure in CIF format:
```
data_TbPrY5Ho2
_symmetry_space_group_name_H-M 'C m c 21'
_symmetry_Int_Tables_number 36
_symmetry_space_group_name_Hall 'C 2c -2'
_cell_length_a 5.644
_cell_length_b 20.112
_cell_length_c 10.571
_cell_angle_alpha 90.00
_cell_angle_beta 90.00
_cell_angle_gamma 90.00
loop_
_atom_site_label
_atom_site_type_symbol
_atom_site_fract_x
_atom_site_fract_y
_atom_site_fract_z
Tb1 Tb 0.000 0.086 0.000
Pr1 Pr 0.000 0.302 0.564
Y1 Y 0.000 0.022 0.287
Y2 Y 0.000 0.110 0.575
Y3 Y 0.000 0.199 0.256
Y4 Y 0.000 0.221 0.863
Y5 Y 0.000 0.484 0.574
Ho1 Ho 0.000 0.387 0.870
Ho2 Ho 0.000 0.390 0.286
```

Results
Energy (eV per atom): -5.498
Fermi-level density of states (states/eV per cell): 60.7
E_form (eV/atom): 0.16
ρ (Mg/m³): 5.946

Record 2
VASP calculation (PBE-GGA) on a relaxed structure of Be4AsPb.

The structure in CIF format:
```
data_Be4AsPb
_symmetry_space_group_name_H-M 'F -4 3 m'
_symmetry_Int_Tables_number 216
_symmetry_space_group_name_Hall 'F -4 2 3'
_cell_length_a 6.958
_cell_length_b 6.958
_cell_length_c 6.958
_cell_angle_alpha 90.00
_cell_angle_beta 90.00
_cell_angle_gamma 90.00
loop_
_atom_site_label
_atom_site_type_symbol
_atom_site_fract_x
_atom_site_fract_y
_atom_site_fract_z
Be1 Be 0.124 0.124 0.376
As1 As 0.250 0.250 0.750
Pb1 Pb 0.000 0.000 0.000
```

Results
Energy (eV per atom): -3.272
Fermi-level density of states (states/eV per cell): 7.0
E_form (eV/atom): 0.60
ρ (Mg/m³): 6.273

Record 3
VASP calculation (PBE-GGA) on a relaxed structure of Y2CrCl.

The structure in CIF format:
```
data_Y2CrCl
_symmetry_space_group_name_H-M 'P m m m'
_symmetry_Int_Tables_number 47
_symmetry_space_group_name_Hall '-P 2 2'
_cell_length_a 3.424
_cell_length_b 3.549
_cell_length_c 8.237
_cell_angle_alpha 90.00
_cell_angle_beta 90.00
_cell_angle_gamma 90.00
loop_
_atom_site_label
_atom_site_type_symbol
_atom_site_fract_x
_atom_site_fract_y
_atom_site_fract_z
Y1 Y 0.000 0.000 0.215
Cr1 Cr 0.500 0.500 0.000
Cl1 Cl 0.500 0.000 0.500
```

Results
ΔE to the lowest computed polymorph (meV/atom): 0
Raw formation energy (eV/atom): -0.468
Energy (eV per atom): -6.568
Fermi-level density of states (states/eV per cell): 2.6
ρ (Mg/m³): 4.400

Record 4
VASP calculation (PBE-GGA) on a relaxed structure of Tm6SnBi2.

The structure in CIF format:
```
data_Tm6SnBi2
_symmetry_space_group_name_H-M 'P 1 21/c 1'
_symmetry_Int_Tables_number 14
_symmetry_space_group_name_Hall '-P 2ybc'
_cell_length_a 6.275
_cell_length_b 8.225
_cell_length_c 12.035
_cell_angle_alpha 90.00
_cell_angle_beta 120.87
_cell_angle_gamma 90.00
loop_
_atom_site_label
_atom_site_type_symbol
_atom_site_fract_x
_atom_site_fract_y
_atom_site_fract_z
Tm1 Tm 0.068 0.209 0.450
Tm2 Tm 0.322 0.655 0.456
Tm3 Tm 0.368 0.041 0.226
Sn1 Sn 0.500 0.000 0.500
Bi1 Bi 0.133 0.111 0.737
```

Results
Energy (eV per atom): -4.696
Fermi-level density of states (states/eV per cell): 17.8
E_form (eV/atom): -0.41
-- stop --
(The records of crystals stop here)

Before I asked the question in here I sent the same questions to LiteSpeed technical support and they gave me this answer here:
  1. Default LiteSpeed is running as user(nobody) : group(nobody) - do I need to change this?
    You don't need to change anything that should be run as nobody and nothing wrong in it.
  2. What is the proper user, group and permission to set to the a web-site folder including the sub-folder: logs, lscache and public_html to prevent outside intruders?
    The user should be the user of site like you have a domain name abcd and the domain owner is like ABC then all folder and everything under the website directory has that user. Permission for directories are 755 and for files its 644.

    To me this sound like I need to run: chown testo8904:testo8904 /path/to/public_html or lscache or logs - or maybe I misunderstand?
I also realized that CyberPabel has a "Fix permission" button in their "File manager". So I marked each of the 3 folder separately and clicked the button. It ended up setting this: Logs to 755 (you mentioned 700), LsCache to 770 and public_html to 750. But it did not change the actual owner-user or group on any of the folders or its content.

My site was already working before these changes - due to I had set everything to 775. Again, I just wanted to optimize and ensure I haven't opened up too much.

So the remaining question would now be like:

Should I run this:

Option A:
sudo chown nobody:testo8904 /home/
sudo chown testo8904:testo8904/home/
sudo chown nobody:testo8904/home/


Option B:
sudo chown testo8904:testo8904/home/ [on_all_3_folders]?

LiteSpeed is running as user(nobody) : group(nobody) but the website CyberPanel set up is running using the user it also created testo8904.
As you can tell I'm not an expert in Linux security, but I also think it's easy to get a bit confused about and maybe it also comes down to personal preferences?

Please let me know what you think :) Thank you so much!


Well-Known Member
Ownership for /lscache may be vary and could, again it could depend on where /lscache directory is located. On most but not all Shared Hostings /lscache dir is located within account dir. On dedicated server it is in /home dir, so ownerships depends on where your /lscache dir is located.

Dedicated server or VPS and if /lscache dir is in /home dir: user(nobody) : group(nobody)
Shared Hosting and if /lscache dir is in account dir: user(nobody) : group(account)
In my ubuntu 20.04 server all 3 folders are placed here in the same folder /home/

So the correct choice would still be to execute the commands below, right?

Option A:
sudo chown nobody:testo8904 /home/
sudo chown testo8904:testo8904/home/
sudo chown nobody:testo8904/home/
I have now executed the 3 commands :) Ah okay - nice to know as well :) I just tried to delete the lscache folder and it got 770 again :) Thank you so much!

1. I don't know if you can assist me with this as well: LS show this info on/off when I login: I able to setup new web-sites via CyberPanel but only with DNS. CyberPanel just stalls when I try to setup a "Test site" / a site without DNS (it would be nice to be able to setup a new web-site first, tune and test it before connecting DNS in the setup).

2. My site currently get "hit" by the LS cache module I have installed in my PrestaShop site (which to my understand also mean that the crawler is working as well? According to LS docs: As long as I see "hit" both should be working? But now I see you are referring Kitt. in your Bio, would that increase the speed of my PrestaShop even further? :) And is it difficult to setup / would I need to disable something in my existing setup before I install Kitt?

All you help is highly appreciated! :) Thank you


Well-Known Member
I start with 2.) :)

2. My site currently get "hit" by the LS cache module I have installed in my PrestaShop site (which to my understand also mean that the crawler is working as well?
Hit header is like a confirmation that the requested URL has been cached, but it doesn't matter who and what the request does. This is not limited by the crawler. For the case you don't know it, one URL can have unlimited different cache copies. Why? This depends on the use of cache varies. Read more about cache vary in documentation.

would that increase the speed of my PrestaShop even further?
Yes and no. Kitt is a custom cache crawler application. Basically, it does what the LS crawler script does, but only basically. Kitt is up to 50 x faster than the crawler script (200,000 URLs in 1 hour) and causes only half the load. Especiall Kitt comes with completey new cache varies, because the cache varies from the cache plugin for PS are unsufficient and buggy. Kitt also don't know any limits, so Kitt has no timeout if you run it GUI Version, but can also be executed as cron. And yes, with Kitt your page is faster, because you need less time to warmup the cache. And the new cache varies guarantees
that all different kind of visitors get cached pages.

Installation is simple. Kitt has an installer where you only have to enter data for DB access. That's it.

For 1.) You better should ask LS support. I don't know how CyberPanel works. I have cPanel.
Hi there :) I have managed to make the "Kitt Cache Crawler Requirement Test" verify 100% green :) But for reasons I currently don't understand. I get error 500 when I try to access: https//

1. I transferred the .zip file to my server in the tmp folder
2. I extracted the archive
3. I moved the kitt folder to the public_html folder / my prestashop's root dir -> exactly like your guidelines tells me to do:


4. I have changed owners of the kitt folder and the 3 files like this (they were extracted and given the ROOT role):

- - -
Record 1
LiZrReTe | PBE | optimized geometry

Lattice parameters (Å, degrees): 4.597 4.597 4.597 60.00 60.00 60.00
Positions (direct):
Li 0.750 0.750 0.750
Re 0.250 0.250 0.250
Te 0.500 0.500 0.500
Zr 0.000 0.000 0.000

Space-group type: F-43m (216)
Distance to the lowest polymorph of the same formula (meV/atom): 0

Record 2
PrGe2Pd | PBE | optimized geometry

Lattice parameters (Å, degrees): 3.379 7.685 6.516 90.00 90.00 90.00
Positions (direct):
Ge 0.000 0.758 0.172
Ge 0.500 0.157 0.328
Ge 0.000 0.242 0.672
Ge 0.500 0.843 0.828
Pd 0.000 0.057 0.002
Pd 0.000 0.943 0.502
Pr 0.500 0.569 0.498
Pr 0.500 0.431 0.998

Calculated total energy (eV per atom): -5.21
Space-group type: Pmc2_1 (26)

Record 3
Hf2CdMo | PBE | optimized geometry

Lattice parameters (Å, degrees): 3.397 3.397 6.930 90.00 90.00 90.00
Positions (direct):
Cd 0.500 0.500 0.500
Hf 0.000 0.000 0.220
Hf 0.000 0.000 0.780
Mo 0.500 0.500 0.000

Energy of formation from the pure elements (eV/atom): -0.121
Space-group type: P4/mmm (123)

Record 4
BaTlRe | PBE | optimized geometry

Lattice parameters (Å, degrees): 5.076 5.076 5.076 60.00 60.00 60.00
Positions (direct):
Ba 0.250 0.250 0.250
Re 0.000 0.000 0.000
Tl 0.750 0.750 0.750

Space-group type: F-43m (216)
Distance to the lowest polymorph of the same formula (meV/atom): 0

Record 5
RbTe5Os3 | PBE | optimized geometry

Lattice parameters (Å, degrees): 6.058 6.058 8.062 90.00 90.00 120.00
Positions (direct):
Os 0.500 0.000 0.500
Os 0.000 0.500 0.500
Os 0.500 0.500 0.500
Rb 0.000 0.000 0.000
Te 0.667 0.333 0.254
Te 0.333 0.667 0.254
Te 0.000 0.000 0.500
Te 0.667 0.333 0.746
Te 0.333 0.667 0.746

Calculated total energy (eV per atom): -5.44
Space-group type: P6/mmm (191)

Record 6
YNbSb | PBE | optimized geometry

Lattice parameters (Å, degrees): 5.004 5.004 5.004 60.00 60.00 60.00
Positions (direct):
Nb 0.250 0.250 0.250
Sb 0.750 0.750 0.750
Y 0.000 0.000 0.000

Calculated total energy (eV per atom): -6.26
Space-group type: F-43m (216)

Record 7
ScNb2B | PBE | optimized geometry

Lattice parameters (Å, degrees): 4.483 4.483 4.483 60.00 60.00 60.00
Positions (direct):
B 0.500 0.500 0.500
Nb 0.000 0.000 0.000
Nb 0.750 0.750 0.750
Sc 0.250 0.250 0.250

Calculated total energy (eV per atom): -7.90
Space-group type: F-43m (216)

Record 8
AcErSi | PBE | optimized geometry

Lattice parameters (Å, degrees): 5.084 5.084 5.084 60.00 60.00 60.00
Positions (direct):
Ac 0.250 0.250 0.250
Er 0.750 0.750 0.750
Si 0.000 0.000 0.000

Space-group type: F-43m (216)
Distance to the lowest polymorph of the same formula (meV/atom): 0

Record 9
HgGeOs2 | PBE | optimized geometry
- - -

chown -R testo8904:testo8904 -R /home/
chown -R testo8904:testo8904 /home/
chown -R testo8904:testo8904 /home/
chown -R testo8904:testo8904 /home/

I have even tried to change permission via chmod to 777.

I have even asked ChatGPT if my .htaccess content blocks the path to kitt ...haha... but it didn't seems like there was something wrong...

While I was writing all this a just checked the log file of LiteSpeed (the web-site itself loads fine, but not kitt) - maybe this has something to do with it? If it does please instruct me exactly how to fix it...because right now I have been struggling for way too many hours ;)

2023-01-01 20:51:11.982604ERROR[12277] [T0] [config:scripthandler] Can not find External Application: lsphp56, type: lsapi2023-01-01 20:51:11.982606ERROR[12277] [T0] [config:scripthandler] use static file handler for suffix [php56]2023-01-01 20:51:11.982610ERROR[12277] [T0] [config:scripthandler] Can not find handler with type: 17, name: lsphp70.2023-01-01 20:51:11.982612ERROR[12277] [T0] [config:scripthandler] Can not find External Application: lsphp70, type: lsapi2023-01-01 20:51:11.982614ERROR[12277] [T0] [config:scripthandler] use static file handler for suffix [php70]2023-01-01 20:51:11.982618ERROR[12277] [T0] [config:scripthandler] Can not find handler with type: 17, name: lsphp71.2023-01-01 20:51:11.982620ERROR[12277] [T0] [config:scripthandler] Can not find External Application: lsphp71, type: lsapi2023-01-01 20:51:11.982622ERROR[12277] [T0] [config:scripthandler] use static file handler for suffix [php71]2023-01-01 20:51:11.984545ERROR[12277] [T0] [/usr/local/lsws/conf/vhosts/] Listener for _default_ is not available.2023-01-01 20:51:11.984545ERROR[12277] [T0] [/usr/local/lsws/conf/vhosts/] Listener for _default_ is not available.
[Sun Jan 1 20:51:11 2023] [notice] Finish reading Apache configuration, server configured -- resuming normal operations